~~~
The following is a meta-GGA r2SCAN calculation of an optimized crystal structure of HoGa2Ni3, from the Materials Project.

Output
Its space group is No. 189. For the formation energy, the calculation gives -3.472 eV per formula unit.

Cell lengths 8.678, 8.678, 4.028 Å; angles 90.00, 90.00, 120.00 degrees
Fractional coordinates of all 18 atoms:
Ho (0.000, 0.000, 0.000)
Ho (0.333, 0.667, 0.500)
Ho (0.667, 0.333, 0.500)
Ga (0.000, 0.271, 0.500)
Ga (0.000, 0.520, 0.000)
Ga (0.271, 0.000, 0.500)
Ga (0.480, 0.480, 0.000)
Ga (0.520, 0.000, 0.000)
Ga (0.729, 0.729, 0.500)
Ni (0.000, 0.708, 0.500)
Ni (0.173, 0.373, 0.000)
Ni (0.200, 0.827, 0.000)
Ni (0.292, 0.292, 0.500)
Ni (0.373, 0.173, 0.000)
Ni (0.627, 0.800, 0.000)
Ni (0.708, 0.000, 0.500)
Ni (0.800, 0.627, 0.000)
Ni (0.827, 0.200, 0.000)

=====

[1]
Here is a relaxed Bi3B7O12 crystal from the Materials Project. Energies are from GGA-PBE.

Results
space group	P-1
calculated formation energy	-2.369	eV/atom

```
data_Bi3B7O12
_chemical_formula_sum 'Bi6 B14 O24'
_symmetry_space_group_name_H-M 'P 1'
_symmetry_Int_Tables_number 1
_cell_length_a 7.0434
_cell_length_b 9.1181
_cell_length_c 9.4426
_cell_angle_alpha 95.36
_cell_angle_beta 104.26
_cell_angle_gamma 96.94
loop_
_symmetry_equiv_pos_as_xyz
'x,y,z'
loop_
_atom_site_label
_atom_site_type_symbol
_atom_site_fract_x
_atom_site_fract_y
_atom_site_fract_z
_atom_site_occupancy
Bi1 Bi 0.0085 0.3375 0.0030 1
Bi2 Bi 0.1335 0.0501 0.1835 1
Bi3 Bi 0.3360 0.7734 0.2629 1
Bi4 Bi 0.6640 0.2266 0.7371 1
Bi5 Bi 0.8665 0.9499 0.8165 1
Bi6 Bi 0.9915 0.6625 0.9970 1
B1 B 0.1398 0.2531 0.6943 1
B2 B 0.1419 0.7073 0.5208 1
B3 B 0.1990 0.3105 0.4549 1
B4 B 0.3065 0.5247 0.8105 1
B5 B 0.3136 0.0647 0.8580 1
B6 B 0.4163 0.8030 0.9090 1
B7 B 0.4966 0.3253 0.3157 1
B8 B 0.5034 0.6747 0.6843 1
B9 B 0.5837 0.1970 0.0910 1
B10 B 0.6864 0.9353 0.1420 1
B11 B 0.6935 0.4753 0.1895 1
B12 B 0.8010 0.6895 0.5451 1
B13 B 0.8581 0.2927 0.4792 1
B14 B 0.8602 0.7469 0.3057 1
O1 O 0.9998 0.3363 0.4060 1
O2 O 0.0002 0.6637 0.5940 1
O3 O 0.0740 0.7530 0.3813 1
O4 O 0.1542 0.1150 0.7657 1
O5 O 0.1942 0.3881 0.8130 1
O6 O 0.2563 0.2571 0.5883 1
O7 O 0.2808 0.6544 0.8916 1
O8 O 0.2882 0.9167 0.8703 1
O9 O 0.3162 0.3356 0.3633 1
O10 O 0.3401 0.7117 0.5656 1
O11 O 0.4420 0.5318 0.7306 1
O12 O 0.4459 0.2062 0.1835 1
O13 O 0.4769 0.1692 0.9302 1
O14 O 0.5231 0.8308 0.0698 1
O15 O 0.5541 0.7938 0.8165 1
O16 O 0.5580 0.4682 0.2694 1
O17 O 0.6599 0.2883 0.4344 1
O18 O 0.6838 0.6644 0.6367 1
O19 O 0.7118 0.0833 0.1297 1
O20 O 0.7192 0.3456 0.1084 1
O21 O 0.7437 0.7429 0.4117 1
O22 O 0.8058 0.6119 0.1870 1
O23 O 0.8458 0.8850 0.2343 1
O24 O 0.9260 0.2470 0.6187 1
```



[2]
Here is a relaxed Co4Re crystal from the Materials Project. Energies are from GGA-PBE.

Results
space group	R-3m
calculated formation energy	0.292	eV/atom

```
data_Co4Re
_chemical_formula_sum 'Co4 Re1'
_symmetry_space_group_name_H-M 'P 1'
_symmetry_Int_Tables_number 1
_cell_length_a 10.3756
_cell_length_b 10.3756
_cell_length_c 10.3756
_cell_angle_alpha 14.41
_cell_angle_beta 14.41
_cell_angle_gamma 14.41
loop_
_symmetry_equiv_pos_as_xyz
'x,y,z'
loop_
_atom_site_label
_atom_site_type_symbol
_atom_site_fract_x
_atom_site_fract_y
_atom_site_fract_z
_atom_site_occupancy
Co1 Co 0.0962 0.0962 0.0962 1
Co2 Co 0.3012 0.3012 0.3012 1
Co3 Co 0.6988 0.6988 0.6988 1
Co4 Co 0.9038 0.9038 0.9038 1
Re1 Re 0.5000 0.5000 0.5000 1
```



[3]
Here is a relaxed Zn3Fe2N4 crystal from the Materials Project. Energies are from GGA-PBE.

Results
space group	C2/c
calculated formation energy	0.141	eV/atom

```
data_Zn3Fe2N4
_chemical_formula_sum 'Zn6 Fe4 N8'
_symmetry_space_group_name_H-M 'P 1'
_symmetry_Int_Tables_number 1
_cell_length_a 6.1254
_cell_length_b 6.1254
_cell_length_c 5.1756
_cell_angle_alpha 91.28
_cell_angle_beta 91.28
_cell_angle_gamma 86.59
loop_
_symmetry_equiv_pos_as_xyz
'x,y,z'
loop_
_atom_site_label
_atom_site_type_symbol
_atom_site_fract_x
_atom_site_fract_y
_atom_site_fract_z
_atom_site_occupancy
~~~

Next, print the whole of the entries further above exactly.

The following is a meta-GGA r2SCAN calculation of an optimized crystal structure of HoGa2Ni3, from the Materials Project.

Output
Its space group is No. 189. For the formation energy, the calculation gives -3.472 eV per formula unit.

Cell lengths 8.678, 8.678, 4.028 Å; angles 90.00, 90.00, 120.00 degrees
Fractional coordinates of all 18 atoms:
Ho (0.000, 0.000, 0.000)
Ho (0.333, 0.667, 0.500)
Ho (0.667, 0.333, 0.500)
Ga (0.000, 0.271, 0.500)
Ga (0.000, 0.520, 0.000)
Ga (0.271, 0.000, 0.500)
Ga (0.480, 0.480, 0.000)
Ga (0.520, 0.000, 0.000)
Ga (0.729, 0.729, 0.500)
Ni (0.000, 0.708, 0.500)
Ni (0.173, 0.373, 0.000)
Ni (0.200, 0.827, 0.000)
Ni (0.292, 0.292, 0.500)
Ni (0.373, 0.173, 0.000)
Ni (0.627, 0.800, 0.000)
Ni (0.708, 0.000, 0.500)
Ni (0.800, 0.627, 0.000)
Ni (0.827, 0.200, 0.000)

=====

[1]
Here is a relaxed Bi3B7O12 crystal from the Materials Project. Energies are from GGA-PBE.

Results
space group	P-1
calculated formation energy	-2.369	eV/atom

```
data_Bi3B7O12
_chemical_formula_sum 'Bi6 B14 O24'
_symmetry_space_group_name_H-M 'P 1'
_symmetry_Int_Tables_number 1
_cell_length_a 7.0434
_cell_length_b 9.1181
_cell_length_c 9.4426
_cell_angle_alpha 95.36
_cell_angle_beta 104.26
_cell_angle_gamma 96.94
loop_
_symmetry_equiv_pos_as_xyz
'x,y,z'
loop_
_atom_site_label
_atom_site_type_symbol
_atom_site_fract_x
_atom_site_fract_y
_atom_site_fract_z
_atom_site_occupancy
Bi1 Bi 0.0085 0.3375 0.0030 1
Bi2 Bi 0.1335 0.0501 0.1835 1
Bi3 Bi 0.3360 0.7734 0.2629 1
Bi4 Bi 0.6640 0.2266 0.7371 1
Bi5 Bi 0.8665 0.9499 0.8165 1
Bi6 Bi 0.9915 0.6625 0.9970 1
B1 B 0.1398 0.2531 0.6943 1
B2 B 0.1419 0.7073 0.5208 1
B3 B 0.1990 0.3105 0.4549 1
B4 B 0.3065 0.5247 0.8105 1
B5 B 0.3136 0.0647 0.8580 1
B6 B 0.4163 0.8030 0.9090 1
B7 B 0.4966 0.3253 0.3157 1
B8 B 0.5034 0.6747 0.6843 1
B9 B 0.5837 0.1970 0.0910 1
B10 B 0.6864 0.9353 0.1420 1
B11 B 0.6935 0.4753 0.1895 1
B12 B 0.8010 0.6895 0.5451 1
B13 B 0.8581 0.2927 0.4792 1
B14 B 0.8602 0.7469 0.3057 1
O1 O 0.9998 0.3363 0.4060 1
O2 O 0.0002 0.6637 0.5940 1
O3 O 0.0740 0.7530 0.3813 1
O4 O 0.1542 0.1150 0.7657 1
O5 O 0.1942 0.3881 0.8130 1
O6 O 0.2563 0.2571 0.5883 1
O7 O 0.2808 0.6544 0.8916 1
O8 O 0.2882 0.9167 0.8703 1
O9 O 0.3162 0.3356 0.3633 1
O10 O 0.3401 0.7117 0.5656 1
O11 O 0.4420 0.5318 0.7306 1
O12 O 0.4459 0.2062 0.1835 1
O13 O 0.4769 0.1692 0.9302 1
O14 O 0.5231 0.8308 0.0698 1
O15 O 0.5541 0.7938 0.8165 1
O16 O 0.5580 0.4682 0.2694 1
O17 O 0.6599 0.2883 0.4344 1
O18 O 0.6838 0.6644 0.6367 1
O19 O 0.7118 0.0833 0.1297 1
O20 O 0.7192 0.3456 0.1084 1
O21 O 0.7437 0.7429 0.4117 1
O22 O 0.8058 0.6119 0.1870 1
O23 O 0.8458 0.8850 0.2343 1
O24 O 0.9260 0.2470 0.6187 1
```



[2]
Here is a relaxed Co4Re crystal from the Materials Project. Energies are from GGA-PBE.

Results
space group	R-3m
calculated formation energy	0.292	eV/atom

```
data_Co4Re
_chemical_formula_sum 'Co4 Re1'
_symmetry_space_group_name_H-M 'P 1'
_symmetry_Int_Tables_number 1
_cell_length_a 10.3756
_cell_length_b 10.3756
_cell_length_c 10.3756
_cell_angle_alpha 14.41
_cell_angle_beta 14.41
_cell_angle_gamma 14.41
loop_
_symmetry_equiv_pos_as_xyz
'x,y,z'
loop_
_atom_site_label
_atom_site_type_symbol
_atom_site_fract_x
_atom_site_fract_y
_atom_site_fract_z
_atom_site_occupancy
Co1 Co 0.0962 0.0962 0.0962 1
Co2 Co 0.3012 0.3012 0.3012 1
Co3 Co 0.6988 0.6988 0.6988 1
Co4 Co 0.9038 0.9038 0.9038 1
Re1 Re 0.5000 0.5000 0.5000 1
```



[3]
Here is a relaxed Zn3Fe2N4 crystal from the Materials Project. Energies are from GGA-PBE.

Results
space group	C2/c
calculated formation energy	0.141	eV/atom

```
data_Zn3Fe2N4
_chemical_formula_sum 'Zn6 Fe4 N8'
_symmetry_space_group_name_H-M 'P 1'
_symmetry_Int_Tables_number 1
_cell_length_a 6.1254
_cell_length_b 6.1254
_cell_length_c 5.1756
_cell_angle_alpha 91.28
_cell_angle_beta 91.28
_cell_angle_gamma 86.59
loop_
_symmetry_equiv_pos_as_xyz
'x,y,z'
loop_
_atom_site_label
_atom_site_type_symbol
_atom_site_fract_x
_atom_site_fract_y
_atom_site_fract_z
_atom_site_occupancy